Please retype the whole of the entries underneath without altering anything.
- - -
(1)
This entry pairs a crystal structure of Er4Si9Ir13 with its calculated PXRD pattern. Radiation: Cu Kα (λ = 1.5418 Å). Structure: a DFT-relaxed cell (PBE, OQMD).

Most intense lines, 2θ = 10–80°, most intense first:
2θ/deg  Rel. int.  index
36.3  100  1 3 3
28.1  21  0 3 3
46.0  19  2 0 0
29.4  16  1 2 2
47.7  13  0 5 5
78.7  11  3 3 3
49.8  9  0 3 9
47.6  8  1 5 1
41.1  8  1 1 7
41.4  7  0 2 8

Structure:
```
data_Er4Si9Ir13
_chemical_formula_sum 'Er8 Si18 Ir26'
_cell_length_a 3.948
_cell_length_b 11.010
_cell_length_c 19.000
_cell_angle_alpha 90.00
_cell_angle_beta 90.00
_cell_angle_gamma 90.00
_symmetry_space_group_name_H-M 'P 1'
_symmetry_Int_Tables_number 1
_symmetry_space_group_name_Hall 'P 1'
loop_
_atom_site_label
_atom_site_type_symbol
_atom_site_fract_x
_atom_site_fract_y
_atom_site_fract_z
Er1 Er 0.250 0.059 0.208
Er2 Er 0.250 0.250 0.022
Er3 Er 0.250 0.441 0.208
Er4 Er 0.250 0.750 0.519
Er5 Er 0.750 0.250 0.481
Er6 Er 0.750 0.559 0.792
Er7 Er 0.750 0.750 0.978
Er8 Er 0.750 0.941 0.792
Si1 Si 0.250 0.069 0.415
Si2 Si 0.250 0.123 0.729
Si3 Si 0.250 0.250 0.602
Si4 Si 0.250 0.377 0.729
Si5 Si 0.250 0.431 0.415
Si6 Si 0.250 0.562 0.919
Si7 Si 0.250 0.750 0.102
Si8 Si 0.250 0.750 0.733
Si9 Si 0.250 0.938 0.919
Si10 Si 0.750 0.062 0.081
Si11 Si 0.750 0.250 0.267
Si12 Si 0.750 0.250 0.898
Si13 Si 0.750 0.438 0.081
Si14 Si 0.750 0.569 0.585
Si15 Si 0.750 0.623 0.271
Si16 Si 0.750 0.750 0.398
Si17 Si 0.750 0.877 0.271
Si18 Si 0.750 0.931 0.585
Ir1 Ir 0.250 0.061 0.539
Ir2 Ir 0.250 0.125 0.857
Ir3 Ir 0.250 0.250 0.343
Ir4 Ir 0.250 0.375 0.857
Ir5 Ir 0.250 0.439 0.539
Ir6 Ir 0.250 0.550 0.047
Ir7 Ir 0.250 0.566 0.665
Ir8 Ir 0.250 0.622 0.355
Ir9 Ir 0.250 0.750 0.227
Ir10 Ir 0.250 0.750 0.858
Ir11 Ir 0.250 0.878 0.355
Ir12 Ir 0.250 0.934 0.665
Ir13 Ir 0.250 0.950 0.047
Ir14 Ir 0.750 0.050 0.953
Ir15 Ir 0.750 0.066 0.335
Ir16 Ir 0.750 0.122 0.645
Ir17 Ir 0.750 0.250 0.142
Ir18 Ir 0.750 0.250 0.773
Ir19 Ir 0.750 0.378 0.645
Ir20 Ir 0.750 0.434 0.335
Ir21 Ir 0.750 0.450 0.953
Ir22 Ir 0.750 0.561 0.461
Ir23 Ir 0.750 0.625 0.143
Ir24 Ir 0.750 0.750 0.657
Ir25 Ir 0.750 0.875 0.143
Ir26 Ir 0.750 0.939 0.461
```


(2)
This entry pairs a crystal structure of PdSe with its calculated PXRD pattern. Radiation: Cu Kα (λ = 1.5418 Å). Structure: a DFT-relaxed cell (PBE, OQMD).

Most intense lines, 2θ = 10–80°, most intense first:
2θ/deg  Rel. int.  index
30.5  100  4 0 0
47.2  41  5 1 2
30.3  33  3 2 1
40.0  32  4 0 2
51.1  30  4 4 2
27.4  30  1 1 2
33.1  29  4 0 1
27.2  22  3 1 1
51.7  21  0 0 4
37.6  20  3 2 2

Structure:
```
data_PdSe
_chemical_formula_sum 'Pd24 Se24'
_cell_length_a 11.710
_cell_length_b 11.710
_cell_length_c 7.074
_cell_angle_alpha 90.00
_cell_angle_beta 90.00
_cell_angle_gamma 90.00
_symmetry_space_group_name_H-M 'P 1'
_symmetry_Int_Tables_number 1
_symmetry_space_group_name_Hall 'P 1'
loop_
_atom_site_label
_atom_site_type_symbol
_atom_site_fract_x
_atom_site_fract_y
_atom_site_fract_z
Pd1 Pd 0.046 0.129 0.000
Pd2 Pd 0.113 0.613 0.250
Pd3 Pd 0.113 0.613 0.750
Pd4 Pd 0.129 0.954 0.500
Pd5 Pd 0.143 0.269 0.500
Pd6 Pd 0.231 0.357 0.000
Pd7 Pd 0.269 0.857 0.000
Pd8 Pd 0.357 0.769 0.500
Pd9 Pd 0.371 0.454 0.500
Pd10 Pd 0.387 0.113 0.250
Pd11 Pd 0.387 0.113 0.750
Pd12 Pd 0.454 0.629 0.000
Pd13 Pd 0.546 0.371 0.000
Pd14 Pd 0.613 0.887 0.250
Pd15 Pd 0.613 0.887 0.750
Pd16 Pd 0.629 0.546 0.500
Pd17 Pd 0.643 0.231 0.500
Pd18 Pd 0.731 0.143 0.000
Pd19 Pd 0.769 0.643 0.000
Pd20 Pd 0.857 0.731 0.500
Pd21 Pd 0.871 0.046 0.500
Pd22 Pd 0.887 0.387 0.250
Pd23 Pd 0.887 0.387 0.750
Pd24 Pd 0.954 0.871 0.000
Se1 Se 0.096 0.404 0.250
Se2 Se 0.096 0.404 0.750
Se3 Se 0.110 0.823 0.224
Se4 Se 0.110 0.823 0.776
Se5 Se 0.177 0.110 0.276
Se6 Se 0.177 0.110 0.724
Se7 Se 0.323 0.610 0.276
Se8 Se 0.323 0.610 0.724
Se9 Se 0.390 0.323 0.224
Se10 Se 0.390 0.323 0.776
Se11 Se 0.404 0.904 0.250
Se12 Se 0.404 0.904 0.750
Se13 Se 0.596 0.096 0.250
Se14 Se 0.596 0.096 0.750
Se15 Se 0.610 0.677 0.224
Se16 Se 0.610 0.677 0.776
Se17 Se 0.677 0.390 0.276
- - -
(1)
This entry pairs a crystal structure of Er4Si9Ir13 with its calculated PXRD pattern. Radiation: Cu Kα (λ = 1.5418 Å). Structure: a DFT-relaxed cell (PBE, OQMD).

Most intense lines, 2θ = 10–80°, most intense first:
2θ/deg  Rel. int.  index
36.3  100  1 3 3
28.1  21  0 3 3
46.0  19  2 0 0
29.4  16  1 2 2
47.7  13  0 5 5
78.7  11  3 3 3
49.8  9  0 3 9
47.6  8  1 5 1
41.1  8  1 1 7
41.4  7  0 2 8

Structure:
```
data_Er4Si9Ir13
_chemical_formula_sum 'Er8 Si18 Ir26'
_cell_length_a 3.948
_cell_length_b 11.010
_cell_length_c 19.000
_cell_angle_alpha 90.00
_cell_angle_beta 90.00
_cell_angle_gamma 90.00
_symmetry_space_group_name_H-M 'P 1'
_symmetry_Int_Tables_number 1
_symmetry_space_group_name_Hall 'P 1'
loop_
_atom_site_label
_atom_site_type_symbol
_atom_site_fract_x
_atom_site_fract_y
_atom_site_fract_z
Er1 Er 0.250 0.059 0.208
Er2 Er 0.250 0.250 0.022
Er3 Er 0.250 0.441 0.208
Er4 Er 0.250 0.750 0.519
Er5 Er 0.750 0.250 0.481
Er6 Er 0.750 0.559 0.792
Er7 Er 0.750 0.750 0.978
Er8 Er 0.750 0.941 0.792
Si1 Si 0.250 0.069 0.415
Si2 Si 0.250 0.123 0.729
Si3 Si 0.250 0.250 0.602
Si4 Si 0.250 0.377 0.729
Si5 Si 0.250 0.431 0.415
Si6 Si 0.250 0.562 0.919
Si7 Si 0.250 0.750 0.102
Si8 Si 0.250 0.750 0.733
Si9 Si 0.250 0.938 0.919
Si10 Si 0.750 0.062 0.081
Si11 Si 0.750 0.250 0.267
Si12 Si 0.750 0.250 0.898
Si13 Si 0.750 0.438 0.081
Si14 Si 0.750 0.569 0.585
Si15 Si 0.750 0.623 0.271
Si16 Si 0.750 0.750 0.398
Si17 Si 0.750 0.877 0.271
Si18 Si 0.750 0.931 0.585
Ir1 Ir 0.250 0.061 0.539
Ir2 Ir 0.250 0.125 0.857
Ir3 Ir 0.250 0.250 0.343
Ir4 Ir 0.250 0.375 0.857
Ir5 Ir 0.250 0.439 0.539
Ir6 Ir 0.250 0.550 0.047
Ir7 Ir 0.250 0.566 0.665
Ir8 Ir 0.250 0.622 0.355
Ir9 Ir 0.250 0.750 0.227
Ir10 Ir 0.250 0.750 0.858
Ir11 Ir 0.250 0.878 0.355
Ir12 Ir 0.250 0.934 0.665
Ir13 Ir 0.250 0.950 0.047
Ir14 Ir 0.750 0.050 0.953
Ir15 Ir 0.750 0.066 0.335
Ir16 Ir 0.750 0.122 0.645
Ir17 Ir 0.750 0.250 0.142
Ir18 Ir 0.750 0.250 0.773
Ir19 Ir 0.750 0.378 0.645
Ir20 Ir 0.750 0.434 0.335
Ir21 Ir 0.750 0.450 0.953
Ir22 Ir 0.750 0.561 0.461
Ir23 Ir 0.750 0.625 0.143
Ir24 Ir 0.750 0.750 0.657
Ir25 Ir 0.750 0.875 0.143
Ir26 Ir 0.750 0.939 0.461
```


(2)
This entry pairs a crystal structure of PdSe with its calculated PXRD pattern. Radiation: Cu Kα (λ = 1.5418 Å). Structure: a DFT-relaxed cell (PBE, OQMD).

Most intense lines, 2θ = 10–80°, most intense first:
2θ/deg  Rel. int.  index
30.5  100  4 0 0
47.2  41  5 1 2
30.3  33  3 2 1
40.0  32  4 0 2
51.1  30  4 4 2
27.4  30  1 1 2
33.1  29  4 0 1
27.2  22  3 1 1
51.7  21  0 0 4
37.6  20  3 2 2

Structure:
```
data_PdSe
_chemical_formula_sum 'Pd24 Se24'
_cell_length_a 11.710
_cell_length_b 11.710
_cell_length_c 7.074
_cell_angle_alpha 90.00
_cell_angle_beta 90.00
_cell_angle_gamma 90.00
_symmetry_space_group_name_H-M 'P 1'
_symmetry_Int_Tables_number 1
_symmetry_space_group_name_Hall 'P 1'
loop_
_atom_site_label
_atom_site_type_symbol
_atom_site_fract_x
_atom_site_fract_y
_atom_site_fract_z
Pd1 Pd 0.046 0.129 0.000
Pd2 Pd 0.113 0.613 0.250
Pd3 Pd 0.113 0.613 0.750
Pd4 Pd 0.129 0.954 0.500
Pd5 Pd 0.143 0.269 0.500
Pd6 Pd 0.231 0.357 0.000
Pd7 Pd 0.269 0.857 0.000
Pd8 Pd 0.357 0.769 0.500
Pd9 Pd 0.371 0.454 0.500
Pd10 Pd 0.387 0.113 0.250
Pd11 Pd 0.387 0.113 0.750
Pd12 Pd 0.454 0.629 0.000
Pd13 Pd 0.546 0.371 0.000
Pd14 Pd 0.613 0.887 0.250
Pd15 Pd 0.613 0.887 0.750
Pd16 Pd 0.629 0.546 0.500
Pd17 Pd 0.643 0.231 0.500
Pd18 Pd 0.731 0.143 0.000
Pd19 Pd 0.769 0.643 0.000
Pd20 Pd 0.857 0.731 0.500
Pd21 Pd 0.871 0.046 0.500
Pd22 Pd 0.887 0.387 0.250
Pd23 Pd 0.887 0.387 0.750
Pd24 Pd 0.954 0.871 0.000
Se1 Se 0.096 0.404 0.250
Se2 Se 0.096 0.404 0.750
Se3 Se 0.110 0.823 0.224
Se4 Se 0.110 0.823 0.776
Se5 Se 0.177 0.110 0.276
Se6 Se 0.177 0.110 0.724
Se7 Se 0.323 0.610 0.276
Se8 Se 0.323 0.610 0.724
Se9 Se 0.390 0.323 0.224
Se10 Se 0.390 0.323 0.776
Se11 Se 0.404 0.904 0.250
Se12 Se 0.404 0.904 0.750
Se13 Se 0.596 0.096 0.250
Se14 Se 0.596 0.096 0.750
Se15 Se 0.610 0.677 0.224
Se16 Se 0.610 0.677 0.776
Se17 Se 0.677 0.390 0.276